
We'll help get you started with our vetted resources and partners

We know it can feel overwhelming to begin finding help for a child who misuses substances and struggles with mental health. We’ve curated trustworthy resources for you to get connected sooner and with more confidence, so your child gets the help they need.

free e-books

Worried Sick: A compassionate Guide for parents of teens or young adults misusing substances

This free guide will answer questions you have about how to approach your child when they’re misusing drugs and alcohol. It provides insights you need to stay positive and strategies for motivating your child to change – and even to accept help.

HINDSIGHT: Three things I wish I knew when My son Was misusing substances

HINDSIGHT contains valuable information I needed when my son dove into a high-risk lifestyle and began misusing drugs and alcohol. It provides vital and research-backed information to help you think in new ways about your child’s challenges.

Helpful Links

Partnership To End Addiction

The Partnership to End Addiction is the nation’s leading organization dedicated to addiction prevention, treatment and recovery.  Find education resources and services – all offered free of charge, in English and Spanish.

Sky's The Limit Fund

Sky’s the Limit Fund (STLF) serves families of adolescents and young adults suffering from mental health issues, substance use disorders and addiction. The nonprofit organization provides financial assistance to help families afford the high cost of a nature-based therapy program for their struggling child. Each family that receives financial assistance from STLF is also eligible to apply for Coaching Service to ensure a successful transition back home.

This directory is a step in finding the range of interventions, treatment types, or an expert for your teen or young adult who needs mental health and substance use care.

Therapeutic Consulting Assoc.

The Therapeutic Consulting Association (TCA) is a professional association for Therapeutic Consultants and other Referring Professionals. Visit their website to search for a therapeutic educational consultant who can help find the right resource, program or placement for your child.

recommended reading

Beyond Addiction: How Science and Kindness Help People Change

The most innovative leaders in progressive addiction treatment in the US offer a groundbreaking, science-based guide to helping loved ones overcome addiction problems and compulsive behaviors.

The Beyond Addiction Workbook for Family and Friends: Evidence-Based Skills to Help a Loved One Make Positive Change

From the authors of Beyond Addiction, this healing and supportive workbook offers practical, evidence-based skills to help you address substance use or other compulsive behaviors with your loved one in a productive way—without creating conflict.

What Happened to You?: Conversations on Trauma, Resilience, and Healing

(Here the text breaks off for calculated molecules)
-- begin --
Density functional theory data (ωB97M-V/def2-TZVPD) for a molecular structure, C28H28BeF5N2O2S3Se in a non-equilibrium geometry.

Structure (XYZ):
```
70
Properties=species:S:1:pos:R:3:lowdin_charge:R:1
Be -0.413 -1.694 0.709 -0.170
C -2.206 1.569 0.830 -0.017
C -1.045 0.714 1.117 -0.228
N -1.217 -0.544 1.644 -0.113
N -0.894 -0.548 3.053 0.019
C -0.417 -1.774 3.424 -1.080
S -0.502 -3.128 2.355 0.598
S 0.449 -2.281 4.890 0.808
C 1.807 -1.053 4.827 -0.422
C 1.517 0.279 5.498 -0.284
C 1.058 0.313 6.827 -0.054
C 0.749 1.562 7.388 -0.095
C 0.826 2.708 6.611 -0.118
C 1.310 2.689 5.309 -0.079
C 1.709 1.461 4.784 -0.042
C 0.289 1.227 0.944 -0.141
C 0.604 2.568 1.271 -0.025
C 1.917 2.968 1.239 -0.111
C 2.922 2.053 0.910 -0.085
C 2.667 0.711 0.707 -0.008
C 1.334 0.251 0.623 -0.310
O 1.006 -0.967 0.272 -0.105
H -2.291 2.337 1.637 0.106
H -3.156 0.992 0.634 0.113
H -1.903 2.142 -0.076 0.079
H 2.040 -0.897 3.756 0.080
H 2.663 -1.544 5.312 0.077
H 0.875 -0.606 7.394 0.102
H 0.411 1.658 8.410 0.092
H 0.557 3.653 7.028 0.084
H 1.349 3.596 4.716 0.098
H 2.093 1.437 3.766 0.097
H -0.200 3.221 1.581 0.110
H 2.252 3.985 1.419 0.097
H 3.937 2.413 0.798 0.102
H 3.488 0.008 0.575 0.114
C -2.688 -2.094 -3.704 -0.121
C -2.276 -3.570 -3.600 -0.296
C -2.351 -4.128 -2.172 -0.336
S -1.024 -3.763 -0.953 1.043
O -1.181 -2.199 -0.588 -0.490
C 0.571 -3.916 -1.851 -0.331
C 1.215 -2.672 -2.470 -0.317
C 2.471 -3.003 -3.281 -0.108
H -2.766 -1.795 -4.768 0.079
H -1.991 -1.422 -3.155 0.004
H -3.720 -1.970 -3.297 0.087
H -1.300 -3.801 -4.049 0.094
H -3.026 -4.146 -4.190 0.109
H -2.503 -5.246 -2.181 0.103
H -3.216 -3.674 -1.653 0.096
H 0.378 -4.685 -2.645 0.095
H 1.287 -4.363 -1.104 0.108
H 1.504 -1.971 -1.689 0.078
H 0.491 -2.188 -3.153 0.075
H 3.293 -3.363 -2.637 0.075
H 2.811 -2.081 -3.794 0.082
H 2.244 -3.754 -4.073 0.074
F -1.939 5.408 -5.749 0.080
C -1.564 4.334 -5.022 -0.151
C -0.282 4.284 -4.470 -0.157
F 0.546 5.331 -4.648 0.089
C 0.113 3.165 -3.773 -0.267
F 1.353 3.133 -3.231 0.037
C -0.738 2.064 -3.580 -0.567
Se -0.246 0.673 -2.426 0.738
C -2.018 2.154 -4.153 -0.268
F -2.906 1.177 -3.901 0.049
C -2.440 3.267 -4.849 -0.148
F -3.691 3.333 -5.374 0.078
```

Calculated values
- energy (Ha) = -5453.876735
- HOMO level (eV) = -3.9
- charge = -1
- LUMO energy (eV) = 1.56
- HOMO-LUMO gap (eV) = 5.43
- ΔE to the lowest compared entry with this formula, charge and spin (kcal/mol) = 51.6

***

Density functional theory data (ωB97M-V/def2-TZVPD) for a molecular structure, C28H28Br2Cl2N4OOsS2.

Structure (XYZ):
```
68
Properties=species:S:1:pos:R:3:lowdin_charge:R:1
Os 0.464 0.275 -0.333 0.912
C 3.375 -0.383 -2.393 -0.050
C 3.661 0.026 -0.984 -0.290
C 5.014 0.171 -0.611 0.018
C 5.363 0.478 0.667 0.019
C 4.353 0.647 1.636 -0.168
C 4.603 0.934 3.000 -0.615
Br 6.368 1.109 3.633 0.853
C 3.567 1.077 3.875 -0.151
C 2.247 0.948 3.421 -0.554
Br 0.867 1.134 4.702 0.888
C 1.942 0.676 2.105 -0.392
O 0.700 0.547 1.669 -0.390
C 3.020 0.514 1.202 -0.150
N 2.686 0.217 -0.105 -0.055
-- stop --

Our earliest experiences shape our lives far down the road, and What Happened to You? provides powerful scientific and emotional insights into the behavioral patterns so many of us struggle to understand.

The Parallel Process: Growing Alongside Your Adolescent or Young Adult Child in Treatment

For many parents of troubled teenagers, a therapeutic program that takes the child from the home for a period of time offers some respite from the daily tumult of acting out, lies, and tension that has left the family under siege. However, just as the teenager is embarking on a journey of self-discovery, skill-development, and emotional maturation, so parents too need to use this time to recognize that their own patterns may have contributed to their family’s downward spiral. This is The Parallel Process.

The Journey of the Heroic Parent: Your Child's Struggle & The Road Home

When a child is hurting, it can be the most painful challenge a parent will face. With compassion and perspective, Dr. Brad Reedy offers hope and wisdom for children who struggle and the parents who love them. The Journey of the Heroic Parent will take you on a journey to a happier, healthier relationship with your struggling child – and yourself.

H.O.M.E.: Strategies for making home a success during and after treatment

_Attached: calculated molecules_
DFT (ωB97M-V/def2-TZVPD) results for a 2-piece molecular cluster, C47H60BN2O2 overall in a non-equilibrium geometry.

molar mass: 695.82 g mol⁻¹
total charge: +1
LUMO: -3.18 eV
F_max: 3.7 eV/Å

Last column: Löwdin charge in e.
Cartesian coordinates (Å):
C  -1.60  4.57  1.98  -0.059
C  -0.38  5.35  2.46  -0.510
C  -0.78  6.84  2.36  -0.075
C  -0.09  5.11  3.95  -0.036
C  0.89  4.98  1.57  -0.049
C  1.53  5.95  0.82  -0.042
C  2.69  5.71  0.13  -0.063
C  3.34  4.52  0.34  -0.023
C  2.77  3.52  1.21  -0.079
C  3.79  2.42  1.64  -0.534
C  3.22  1.40  2.60  -0.050
C  4.88  3.14  2.45  -0.043
C  4.39  1.76  0.42  -0.037
C  1.43  3.63  1.57  -0.051
N  0.59  2.43  1.78  0.084
C  0.21  1.49  0.80  -0.106
B  0.99  1.06  -0.45  -0.077
H  0.29  -0.21  -1.32  0.063
N  -0.83  0.70  1.35  0.048
C  -1.51  -0.43  0.73  -0.061
C  -1.35  -1.73  1.26  -0.121
C  -0.14  -2.31  1.93  -0.519
C  0.14  -3.74  1.44  -0.047
C  -0.38  -2.31  3.47  -0.018
C  1.17  -1.60  1.61  -0.041
C  -2.48  -2.57  1.17  -0.009
C  -3.37  -2.48  0.10  -0.055
C  -3.25  -1.35  -0.70  -0.072
C  -2.54  -0.23  -0.28  -0.071
C  -2.96  1.09  -0.95  -0.517
C  -2.20  1.22  -2.26  -0.039
C  -2.70  2.34  -0.07  -0.052
C  -4.45  1.13  -1.22  -0.056
C  -0.87  1.00  2.71  -0.027
C  -0.01  1.98  2.99  -0.041
H  -1.50  3.51  2.17  0.036
H  -2.52  4.88  2.49  0.102
H  -1.74  4.69  0.90  0.090
H  0.02  7.48  2.77  0.091
H  -0.99  7.14  1.33  0.090
H  -1.68  7.01  2.98  0.098
H  0.79  5.70  4.26  0.101
H  -0.94  5.39  4.59  0.100
H  0.14  4.06  4.17  0.038
H  1.14  6.97  0.76  0.114
H  3.12  6.48  -0.54  0.130
H  4.34  4.41  -0.10  0.122
H  2.52  0.72  2.10  0.047
H  4.03  0.78  2.97  0.097
H  2.73  1.81  3.48  0.090
H  5.42  3.90  1.89  0.083
H  4.50  3.64  3.35  0.098
H  5.64  2.43  2.80  0.094
H  5.02  2.46  -0.12  0.082
H  5.00  0.89  0.72  0.105
H  3.59  1.43  -0.23  0.042
H  0.87  1.77  -1.46  0.084
H  2.05  0.53  -0.11  0.069
H  0.36  -3.79  0.37  0.077
H  1.03  -4.23  1.91  0.107
H  -0.68  -4.45  1.61  0.080
H  -0.55  -1.28  3.82  0.054
H  -1.31  -2.88  3.70  0.095
H  0.46  -2.72  4.08  0.103
H  1.18  -0.58  2.03  0.053
H  2.06  -2.14  2.02  0.114
H  1.35  -1.51  0.52  0.083
H  -2.61  -3.40  1.84  0.117
H  -4.11  -3.29  -0.08  0.138
H  -3.79  -1.34  -1.62  0.114
H  -2.29  0.26  -2.83  0.101
H  -2.51  2.04  -2.93  0.109
H  -1.13  1.39  -2.07  0.043
H  -3.07  2.16  0.96  0.102
H  -1.65  2.62  -0.05  0.057
H  -3.30  3.20  -0.44  0.106
H  -5.00  0.94  -0.29  0.104
H  -4.78  2.10  -1.60  0.092
H  -4.76  0.39  -1.96  0.078
H  -1.48  0.42  3.42  0.145
H  0.26  2.32  4.00  0.131
C  -2.53  -9.40  -2.08  -0.041
O  -3.06  -8.07  -1.76  -0.092
C  -2.38  -6.97  -2.17  -0.246
C  -2.98  -5.71  -1.89  0.013
C  -2.25  -4.55  -2.03  -0.014
C  -0.87  -4.60  -2.33  -0.155
C  -0.08  -3.42  -2.49  -0.200
O  0.86  -3.54  -3.50  0.048
C  1.68  -2.45  -3.80  -0.151
C  1.41  -1.18  -3.27  -0.110
C  2.02  -0.09  -3.91  -0.006
C  2.76  -0.27  -5.09  -0.066
C  2.90  -1.51  -5.64  -0.074
C  2.42  -2.61  -4.96  0.009

Recognizing the survival mode in which your family has been living, experiencing the overwhelm of grief and loss, accepting your own strengths and struggles, and feeling desperate for solutions are just a few heart-wrenching steps you may experience with an adolescent or young adult in out-of-home mental and behavioral health treatment. If you are on this path, you might feel isolated and confused as you wade through the waters of the treatment process with your family. H.O.M.E. offers insight into the journey of wilderness therapy and other treatment experiences.

Misplaced quantum chemistry results:
********
# 1
Formula: C10H16
Source: OMol25
Level of theory: ωB97M-V/def2-TZVPD

Structure (XYZ):
```
26
Properties=species:S:1:pos:R:3:forces:R:3:nbo_charge:R:1
C -0.27497 1.32503 1.87266 0.1039 -0.9676 -0.3413 -0.62
C 0.70980 1.75725 0.75095 -1.9458 2.3355 0.3279 -0.43
C 0.23178 1.42891 -0.66070 1.0806 0.4652 1.1163 0.01
C -1.11143 1.07261 -0.77568 -1.5792 0.2264 -0.1943 -0.24
C -1.65642 0.87314 -2.05839 3.4129 0.9585 -0.7817 -0.19
C -0.72586 0.90684 -3.14991 0.6866 0.2297 2.2727 -0.23
C 0.65173 1.23359 -2.97334 0.7986 -2.2057 -0.7892 -0.20
C 1.16525 1.58515 -1.72737 -7.1334 -2.0345 -0.2400 -0.21
H 0.33918 0.76041 2.53681 0.2656 -0.1896 1.1725 0.21
H -0.97751 0.53654 1.49317 0.4495 1.0148 0.7805 0.21
H -0.77120 2.16110 2.42475 0.2580 -0.8545 -0.6738 0.22
H 0.59323 2.89869 0.81350 1.0400 -1.3384 -0.2461 0.22
H 1.72304 1.44301 0.98798 0.0426 0.1221 -0.2772 0.21
H -1.79199 1.02578 0.16743 1.3200 0.1750 -2.3434 0.22
H -2.67664 0.80340 -2.29589 -1.2288 -0.5264 0.1134 0.21
H -1.03143 0.54979 -4.08736 -0.4696 -0.1857 -1.2449 0.21
H 1.44258 0.79575 -3.70457 -1.6490 1.5890 0.5776 0.21
H 2.09129 1.85844 -1.55737 4.5559 1.1359 0.7864 0.20
C 1.01020 -2.60753 1.28151 -3.8077 2.2390 -1.0241 -0.61
C -0.45111 -3.11257 1.71917 0.9302 2.8011 -2.6761 -0.61
H 1.60993 -3.36167 1.59525 2.6620 -1.5406 1.1613 0.20
H 1.01514 -2.62171 0.17923 0.2160 0.3043 0.4062 0.21
H 1.18971 -1.53156 1.63240 0.1565 -1.8672 -0.2877 0.20
H -0.92863 -3.65789 0.87409 -0.3019 1.2444 0.3857 0.21
H -0.95029 -2.29043 2.25247 -0.6226 -0.2229 -0.9973 0.21
H -0.42539 -3.83204 2.40923 0.7589 -2.9076 3.0166 0.19
```
Positions in Å, forces in eV/Å.

Properties
**SMILES string**: CCc1ccccc1.CC
**LUMO level**: 1.02 eV
**Net charge**: 0
**Energy relative to the best compared isomer or geometry (same formula, charge and spin)**: 62.63 kcal/mol
**Highest occupied orbital energy**: -8.740 eV
**Multiplicity**: 1
**HOMO-LUMO gap**: 9.8 eV

=====

# 2
Formula: C3H2F2S2
Source: OMol25
Level of theory: ωB97M-V/def2-TZVPD

Structure (XYZ):
```
9
Properties=species:S:1:pos:R:3:forces:R:3:nbo_charge:R:1
C -1.22280 -0.63862 -0.07871 5.0752 -5.1464 -1.4508 -0.35
C -1.18197 0.70485 0.03131 -0.3171 5.1460 0.8269 -0.59
C 1.43796 -0.08275 0.03088 -0.8361 1.8543 -0.8368 0.44
F 2.33095 0.00510 -1.00664 -1.0669 -0.4073 0.2195 -0.33
F 2.22588 0.03313 1.09753 -0.2179 -0.4366 0.6650 -0.32
S 0.32633 -1.51400 -0.00241 -0.6558 0.1247 -0.0159 0.30
S 0.27092 1.47727 -0.01338 1.8624 0.2358 -0.1479 0.41
H -2.06061 -1.11684 0.11743 -3.4718 -2.7664 1.0069 0.20
H -2.12665 1.13187 -0.17601 -0.3720 1.3958 -0.2669 0.24
```
Positions in Å, forces in eV/Å.

Properties
**LUMO level (alpha / beta)**: 0.58 / -2.06 eV
**Net charge**: 0
**Energy relative to the best compared isomer or geometry (same formula, charge and spin)**: 15.99 kcal/mol
**⟨S²⟩**: 2.008
**Highest occupied orbital energy (alpha / beta)**: -5.366 / -10.301 eV
**Multiplicity**: 3
**HOMO-LUMO gap (alpha / beta)**: 5.9 / 8.2 eV

=====

# 3
Formula: C3H4S
Source: OMol25
********
Back to the entry:

hopestream podcast playlists

We’ve curated special playlists for you to get started on your path to help, hope and healing.